- - -
CrFeSe2 after structural relaxation. Source: the Alexandria database, functional PBE-GGA.

Properties
As for the total energy: -25.020 eV for the cell shown. As for the space group: No. 160. As for the raw formation energy: 0.01 eV/atom. The mass density comes out at 5.88 g/cm³. The density of states at the Fermi level is 1.83 states/eV per cell. As for the energy above the most stable polymorph in this dataset: 19.5 kJ/mol of atoms. The volume comes out at 18.8 A^3/atom.

a = 9.151 Å, b = 9.151 Å, c = 9.151 Å
α = 19.55°, β = 19.55°, γ = 19.55°
Last column: magnetic moment on the atom in μB.
Fractional coordinates of all 4 atoms:
Se1 0.220 0.220 0.220  -0.14
Cr1 0.494 0.494 0.494  1.59
Fe1 0.756 0.756 0.756  2.29
Se2 0.030 0.030 0.030  -0.08


SrLiMg2In after structural relaxation. Source: the Alexandria database, functional PBE-GGA.

Properties
As for the total energy: -9.796 eV for the cell shown. As for the space group: No. 123. The formation energy is -0.05 eV/atom. The mass density comes out at 3.21 g/cm³. The density of states at the Fermi level is 2.41 states/eV per cell. The volume comes out at 26.7 A^3/atom.

a = 5.117 Å, b = 5.117 Å, c = 5.104 Å
α = 90.00°, β = 90.00°, γ = 90.00°
Fractional coordinates of all 5 atoms:
Li1 0.000 0.000 0.000
Sr1 0.500 0.500 0.500
Mg1 0.500 0.000 0.000
In1 0.000 0.000 0.500
Mg2 0.000 0.500 0.000


Cu2Sn2Ge after structural relaxation. Source: the Alexandria database, functional PBE-GGA.

Properties
As for the total energy: -40.143 eV for the cell shown. As for the space group: No. 127. The formation energy is 0.15 eV/atom. The mass density comes out at 7.55 g/cm³. The density of states at the Fermi level is 5.27 states/eV per cell. As for the energy above the most stable polymorph in this dataset: 0.0 kJ/mol of atoms. The volume comes out at 19.2 A^3/atom.

a = 6.904 Å, b = 6.904 Å, c = 4.036 Å
α = 90.00°, β = 90.00°, γ = 90.00°
Fractional coordinates of all 10 atoms:
Cu1 0.629 0.129 0.000
Ge1 0.000 0.000 0.000
Sn1 0.672 0.828 0.500
Cu2 0.129 0.371 0.000
Sn2 0.828 0.328 0.500
Cu3 0.371 0.871 0.000
Sn3 0.172 0.672 0.500
Cu4 0.871 0.629 0.000
Sn4 0.328 0.172 0.500
Ge2 0.500 0.500 0.000


Nd4Sb2AsS after structural relaxation. Source: the Alexandria database, functional PBE-GGA.

Properties
As for the total energy: -47.830 eV for the cell shown. As for the space group: No. 10. As for the raw formation energy: -1.47 eV/atom. The mass density comes out at 6.59 g/cm³. The density of states at the Fermi level is 1.58 states/eV per cell. The volume comes out at 29.2 A^3/atom.

a = 4.350 Å, b = 7.566 Å, c = 7.521 Å
α = 70.66°, β = 90.00°, γ = 90.00°
Fractional coordinates of all 8 atoms:
Nd1 0.500 0.267 0.745
Nd2 0.500 0.733 0.255
Nd3 0.000 0.267 0.244
Sb1 0.500 0.000 0.500
As1 0.000 0.500 0.500
Nd4 0.000 0.733 0.756
S1 0.500 0.500 0.000
Sb2 0.000 0.000 0.000


Hg2Sb2Au5 after structural relaxation. Source: the Alexandria database, functional PBE-GGA.

Properties
As for the total energy: -24.990 eV for the cell shown. As for the space group: No. 2. As for the raw formation energy: 0.03 eV/atom. The mass density comes out at 12.81 g/cm³. The density of states at the Fermi level is 3.21 states/eV per cell. The volume comes out at 23.5 A^3/atom.

a = 5.436 Å, b = 7.604 Å, c = 7.173 Å
α = 123.26°, β = 87.05°, γ = 117.64°
Fractional coordinates of all 9 atoms:
Au1 0.470 0.698 0.047
Hg1 0.734 0.244 0.316
Au2 0.297 0.327 0.532
Hg2 0.266 0.756 0.684
Au3 0.000 0.000 0.000
Sb1 0.051 0.804 0.217
Sb2 0.949 0.196 0.783
Au4 0.703 0.673 0.468
Au5 0.530 0.302 0.953


PrMg6Ga2 after structural relaxation. Source: the Alexandria database, functional PBE-GGA.

Properties
As for the total energy: -22.517 eV for the cell shown. As for the space group: No. 123. The formation energy is -0.24 eV/atom. The mass density comes out at 3.47 g/cm³. The density of states at the Fermi level is 2.18 states/eV per cell. The volume comes out at 22.7 A^3/atom.

a = 4.467 Å, b = 4.467 Å, c = 10.216 Å
- - -

Next, give back the contents further up exactly.

CrFeSe2 after structural relaxation. Source: the Alexandria database, functional PBE-GGA.

Properties
As for the total energy: -25.020 eV for the cell shown. As for the space group: No. 160. As for the raw formation energy: 0.01 eV/atom. The mass density comes out at 5.88 g/cm³. The density of states at the Fermi level is 1.83 states/eV per cell. As for the energy above the most stable polymorph in this dataset: 19.5 kJ/mol of atoms. The volume comes out at 18.8 A^3/atom.

a = 9.151 Å, b = 9.151 Å, c = 9.151 Å
α = 19.55°, β = 19.55°, γ = 19.55°
Last column: magnetic moment on the atom in μB.
Fractional coordinates of all 4 atoms:
Se1 0.220 0.220 0.220  -0.14
Cr1 0.494 0.494 0.494  1.59
Fe1 0.756 0.756 0.756  2.29
Se2 0.030 0.030 0.030  -0.08


SrLiMg2In after structural relaxation. Source: the Alexandria database, functional PBE-GGA.

Properties
As for the total energy: -9.796 eV for the cell shown. As for the space group: No. 123. The formation energy is -0.05 eV/atom. The mass density comes out at 3.21 g/cm³. The density of states at the Fermi level is 2.41 states/eV per cell. The volume comes out at 26.7 A^3/atom.

a = 5.117 Å, b = 5.117 Å, c = 5.104 Å
α = 90.00°, β = 90.00°, γ = 90.00°
Fractional coordinates of all 5 atoms:
Li1 0.000 0.000 0.000
Sr1 0.500 0.500 0.500
Mg1 0.500 0.000 0.000
In1 0.000 0.000 0.500
Mg2 0.000 0.500 0.000


Cu2Sn2Ge after structural relaxation. Source: the Alexandria database, functional PBE-GGA.

Properties
As for the total energy: -40.143 eV for the cell shown. As for the space group: No. 127. The formation energy is 0.15 eV/atom. The mass density comes out at 7.55 g/cm³. The density of states at the Fermi level is 5.27 states/eV per cell. As for the energy above the most stable polymorph in this dataset: 0.0 kJ/mol of atoms. The volume comes out at 19.2 A^3/atom.

a = 6.904 Å, b = 6.904 Å, c = 4.036 Å
α = 90.00°, β = 90.00°, γ = 90.00°
Fractional coordinates of all 10 atoms:
Cu1 0.629 0.129 0.000
Ge1 0.000 0.000 0.000
Sn1 0.672 0.828 0.500
Cu2 0.129 0.371 0.000
Sn2 0.828 0.328 0.500
Cu3 0.371 0.871 0.000
Sn3 0.172 0.672 0.500
Cu4 0.871 0.629 0.000
Sn4 0.328 0.172 0.500
Ge2 0.500 0.500 0.000


Nd4Sb2AsS after structural relaxation. Source: the Alexandria database, functional PBE-GGA.

Properties
As for the total energy: -47.830 eV for the cell shown. As for the space group: No. 10. As for the raw formation energy: -1.47 eV/atom. The mass density comes out at 6.59 g/cm³. The density of states at the Fermi level is 1.58 states/eV per cell. The volume comes out at 29.2 A^3/atom.

a = 4.350 Å, b = 7.566 Å, c = 7.521 Å
α = 70.66°, β = 90.00°, γ = 90.00°
Fractional coordinates of all 8 atoms:
Nd1 0.500 0.267 0.745
Nd2 0.500 0.733 0.255
Nd3 0.000 0.267 0.244
Sb1 0.500 0.000 0.500
As1 0.000 0.500 0.500
Nd4 0.000 0.733 0.756
S1 0.500 0.500 0.000
Sb2 0.000 0.000 0.000


Hg2Sb2Au5 after structural relaxation. Source: the Alexandria database, functional PBE-GGA.

Properties
As for the total energy: -24.990 eV for the cell shown. As for the space group: No. 2. As for the raw formation energy: 0.03 eV/atom. The mass density comes out at 12.81 g/cm³. The density of states at the Fermi level is 3.21 states/eV per cell. The volume comes out at 23.5 A^3/atom.

a = 5.436 Å, b = 7.604 Å, c = 7.173 Å
α = 123.26°, β = 87.05°, γ = 117.64°
Fractional coordinates of all 9 atoms:
Au1 0.470 0.698 0.047
Hg1 0.734 0.244 0.316
Au2 0.297 0.327 0.532
Hg2 0.266 0.756 0.684
Au3 0.000 0.000 0.000
Sb1 0.051 0.804 0.217
Sb2 0.949 0.196 0.783
Au4 0.703 0.673 0.468
Au5 0.530 0.302 0.953


PrMg6Ga2 after structural relaxation. Source: the Alexandria database, functional PBE-GGA.

Properties
As for the total energy: -22.517 eV for the cell shown. As for the space group: No. 123. The formation energy is -0.24 eV/atom. The mass density comes out at 3.47 g/cm³. The density of states at the Fermi level is 2.18 states/eV per cell. The volume comes out at 22.7 A^3/atom.

a = 4.467 Å, b = 4.467 Å, c = 10.216 Å